The event is dedicated mainly to PhD students and post-PhD researchers, but it is also open to the active participation of qualified lawyers in the field of Maritime, Transport and International Trade Law.

The workshops, under the supervision of Professor Rhidian Thomas, who will chair all the sessions of the event, will allow “young academics” (both PhD students and young post-PhD) or qualified lawyers to report on their research, giving 20 minutes each, followed by a discussion of 10 minutes. Advanced law students interested are allowed to hear reports, and if necessary intervene with questions.

During the event, participants will have excellent networking opportunities to improve or extend their international academic and professional contacts in the fields of Maritime, Port and Transport Law.

Fees: no fees to participate, but no reimburses of the participants’ expenses.

Lectio magistralis: two Full Professors, one for each day, will hold a 2 hours lectio magistralis during each morning (except Saturday).

Masterclass: the lectio magistralis will be followed by a 45 minutes masterclass held each day (except Saturday) by an Associate Professor or a Senior Assistant Professor.

Publication: since the five collective volumes published in the last four years with the articles of all participants have been appreciated positively by the international community of Scholars in Maritime and Transport Law, the organisers decided to continue on the same path to publish the papers of all the participants in a volume of a well known book series in Maritime and Transport Law, “Il Diritto Marittimo – Quaderni”. 

A section will be devoted to issues concerning the matter of Ports (both from the side of infrastructures and from the one of the services).

Examples of relevant issues related to that matter can be:

  • Port Authorities and port administration;
  • Terminal operation and management;
  • port services;
  • technical-nautical services: pilotage, mooring, towage and boat services;
  • safety and security in the port areas;
  • distribution parks and logistics;
  • port labour;
  • environmental issues;
  • maritime domain and the regime of coastal areas activities, etc.

However, topics not related to the matter of Ports will be accepted as well.


– within April 30th registration is to be made, including the topic chosen by each participant and the abstract (in order to enroll it will be sufficient to send an email to or, with the title of the presentation and the abstract);

– within May 31st the drafts of the participants’ papers are to be sent by e-mail to the same address, in order to be distributed among the other participants;

– within July 9th the final versions of the participants’ papers are to be sent to by e-mail to the same address for the publication. The final papers should be preferably between 7.000 and 10.000 words each; all papers are subject to the double blind peer review procedure.

For all further questions please contact:

Adjunct Professor Massimiliano Musi ;

Materials data that have nothing to do with the page =
<<<
! GGA-PBE Na3U3GaN8, optimized geometry; values from VASP
! Formation energy without anion corrections, meV per atom: -759
! Space-group type: No. 12
&SYSTEM
  ibrav = 0, nat = 15, ntyp = 4
/
ATOMIC_SPECIES
Na 22.99 Na.upf
N 14.01 N.upf
Ga 69.72 Ga.upf
U 238.03 U.upf
CELL_PARAMETERS angstrom
7.171 0.000 0.000
-3.585 5.693 -0.168
0.000 -3.911 5.783
ATOMIC_POSITIONS angstrom
Na 0.000 0.000 0.000
Na -1.793 2.847 -0.084
Na 1.793 2.847 -0.084
N 1.996 -0.874 1.819
N 0.000 -0.241 3.772
N 3.585 2.023 1.842
N -1.589 2.656 3.796
N 3.585 -0.074 3.907
N 0.000 1.856 1.707
N 1.589 2.656 3.796
N 5.175 -0.874 1.819
Ga 0.000 -1.956 2.892
U 1.793 0.891 2.807
U -1.793 0.891 2.807
U 3.585 -1.956 2.892

***

! GGA-PBE NaGaW2N, optimized geometry; values from VASP
! Formation energy without anion corrections, meV per atom: 2361
! Space-group type: No. 123
&SYSTEM
  ibrav = 0, nat = 5, ntyp = 4
/
ATOMIC_SPECIES
Ga 69.72 Ga.upf
N 14.01 N.upf
Na 22.99 Na.upf
W 183.84 W.upf
CELL_PARAMETERS angstrom
-2.197 -4.268 -1.329
-0.432 -0.893 3.585
-4.433 2.272 0.032
ATOMIC_POSITIONS angstrom
Ga 0.000 0.000 0.000
N -0.216 -0.447 1.793
Na -3.531 -1.445 1.144
W -1.099 -2.134 -0.664
W -2.216 1.136 0.016

***

! GGA-PBE NaY2GaN, optimized geometry; values from VASP
! Formation energy without anion corrections, meV per atom: -628
! Space-group type: No. 123
&SYSTEM
  ibrav = 0, nat = 5, ntyp = 4
/
ATOMIC_SPECIES
N 14.01 N.upf
Na 22.99 Na.upf
Ga 69.72 Ga.upf
Y 88.91 Y.upf
CELL_PARAMETERS angstrom
-1.461 0.033 -4.519
-4.488 -0.568 1.447
-0.521 4.626 0.202
ATOMIC_POSITIONS angstrom
N 0.000 0.000 0.000
Na -0.260 2.313 0.101
Ga -3.235 2.045 -1.435
Y -0.731 0.016 -2.260
Y -2.244 -0.284 0.723

***

! GGA-PBE NaZrGa2N, optimized geometry; values from VASP
! Formation energy without anion corrections, meV per atom: 1055
! Space-group type: No. 123
&SYSTEM
  ibrav = 0, nat = 5, ntyp = 4
/
ATOMIC_SPECIES
N 14.01 N.upf
Ga 69.72 Ga.upf
Na 22.99 Na.upf
Zr 91.22 Zr.upf
CELL_PARAMETERS angstrom
4.790 0.000 0.000
0.000 4.035 0.000
0.000 0.000 4.790
ATOMIC_POSITIONS angstrom
N 0.000 2.017 0.000
Ga 2.395 0.000 0.000
Ga 0.000 0.000 2.395
Na 0.000 0.000 0.000
Zr 2.395 2.017 2.395

***

! GGA-PBE NbGaN3, optimized geometry; values from VASP
! Formation energy without anion corrections, meV per atom: 1064
! Space-group type: No. 221
&SYSTEM
  ibrav = 0, nat = 5, ntyp = 3
/
ATOMIC_SPECIES
Nb 92.91 Nb.upf
N 14.01 N.upf
Ga 69.72 Ga.upf
CELL_PARAMETERS angstrom
-1.297 1.758 -3.047
1.272 -2.793 -2.153
-3.279 -1.779 0.369
ATOMIC_POSITIONS angstrom
Nb -1.652 -1.406 -2.415
N -0.648 0.879 -1.523
N -1.640 -0.889 0.185
N 0.636 -1.396 -1.077
Ga 0.000 0.000 0.000

***

! GGA-PBE Nb6GaN, optimized geometry; values from VASP
! Formation energy without anion corrections, meV per atom: -313
! Space-group type: No. 2
&SYSTEM
  ibrav = 0, nat = 8, ntyp = 3
/
ATOMIC_SPECIES
N 14.01 N.upf
Nb 92.91 Nb.upf
Ga 69.72 Ga.upf
CELL_PARAMETERS angstrom
-0.786 -1.526 5.773
-0.551 -4.654 1.353
4.595 -5.203 2.826
ATOMIC_POSITIONS angstrom
>>>

Alma Mater Studiorum, Università di Bologna

Dipartimento di Scienze Giuridiche 
Via Zamboni 27/29, Bologna